I had meant to write this blog post a couple days ago but three flat tires and work took priority. Life has a way for throwing twists and turns into your path in even while doing the simplest things.
Calculated molecules, as found in the file.
The following is a DFT calculation (the ωB97M-V functional and the def2-TZVPD basis) of an isolated ion of composition C5H7N4O2 and charge +1 in a non-equilibrium geometry.

* net charge: +1
* E: -563.74473 a.u.
* HOMO energy: -0.531 Eh
* spin multiplicity: 1
* gap between HOMO and LUMO: 9.7 eV

Element x y z (Å)
C  -1.762914  0.900704  -1.759622
N  -1.133397  0.557893  -0.458455
C  0.179736  0.411033  -0.365596
N  1.089750  0.689464  -1.257072
O  2.383465  0.636594  -0.899832
N  2.155901  0.043557  0.578552
O  3.116892  -0.140037  1.181922
C  0.876610  -0.051671  0.748253
C  0.473922  -1.170489  2.092477
C  -0.790077  -1.564492  1.674505
N  -1.778330  -1.830810  1.169728
H  -0.960590  0.983803  -2.519811
H  -2.340469  -0.014696  -2.072781
H  -2.568576  1.706049  -1.681190
H  -1.690743  0.238393  0.347921
H  0.888275  1.218364  -2.063639
H  1.239929  -1.973346  2.172607
H  0.620617  -0.640314  3.112032

Cartesian forces (eV/Å) of the 2 atoms listed first:
C -1.5 -1.3 0.1
N 0.2 0.4 -0.4


The following is a DFT calculation (the ωB97M-V functional and the def2-TZVPD basis) of C46H28F5N4Ti as an isolated structure in a non-equilibrium geometry.

* net charge: -1
* E: -3337.74260 a.u.
* HOMO energy (alpha / beta): -0.119 / -0.119 Eh
* spin multiplicity: 1
* gap between HOMO and LUMO (alpha / beta): 5.3 / 5.3 eV

Element x y z (Å)
Ti  0.022073  0.000818  -0.023279
C  -5.170968  4.325210  -3.659655
C  -4.291406  3.452993  -4.288158
C  -3.371708  2.730733  -3.543298
C  -3.320302  2.862106  -2.157362
C  -4.199382  3.746747  -1.537864
C  -5.121789  4.471005  -2.281107
C  -2.327562  2.087015  -1.363339
C  -0.937419  2.468049  -1.538694
C  -0.490125  3.602979  -2.169495
C  0.913057  3.633270  -2.029608
C  1.268839  2.504622  -1.336983
C  2.632584  2.072632  -1.066624
C  3.728918  2.930179  -1.591376
C  4.562309  3.620551  -0.714297
C  5.604920  4.406145  -1.186541
C  5.824525  4.521163  -2.551130
C  4.994775  3.844269  -3.435926
C  3.956308  3.059173  -2.959822
C  2.943038  0.934418  -0.447108
N  2.033549  0.007119  0.104609
C  2.794844  -1.090937  0.536471
C  2.358654  -2.138369  1.263215
C  3.213602  -3.360787  1.280279
C  3.490735  -4.148137  2.397294
C  4.286098  -5.281873  2.305732
C  4.825210  -5.671445  1.089660
C  4.543514  -4.916987  -0.039995
C  3.741979  -3.791007  0.056254
C  1.084490  -2.080504  1.979895
C  0.723453  -2.720218  3.144264
C  -0.605836  -2.365466  3.431840
C  -1.026478  -1.524248  2.431313
N  0.013649  -1.311391  1.533598
C  -2.388827  -1.093558  2.218398
C  -2.775110  -0.293437  1.218800
C  -4.160202  0.050012  0.888771
C  -4.150166  0.868454  -0.157328
C  -2.754048  1.154007  -0.504251
N  -1.913653  0.349510  0.307777
C  -3.419929  -1.649962  3.138080
C  -3.612480  -1.111799  4.406794
C  -4.573952  -1.633134  5.261229
C  -5.357904  -2.704642  4.857193
C  -5.171205  -3.252637  3.595315
C  -4.205555  -2.731361  2.746388
C  4.209801  -0.833495  0.191670
C  4.300657  0.375127  -0.333321
N  0.143133  1.771806  -1.007829
In my last “for the love of stuff” post I talked about how I was going to get rid of my extra stuff. I even made a pledge to get rid of 66% or two thirds of my stuff. I realized that I did not really go into why I wanted to do this. I am not crazy really I'm not!
A while back I learned a little bit about the ideas of voluntary simplicity and the transition movement. Both ideas have their differences but essentially they gravitate around the idea that we can live a life style that may have a lower traditional standard of living (in terms of gdp per capita) but will be higher in quality of life. This goes against our traditional ways of looking at the world but here goes.
Unrelated to this article: data records:
____________
Version w
Computed, not measured: a molecular structure, C2H3O3, with ωB97M-V/def2-TZVPD.

Structure (XYZ):
```
8
Properties=species:S:1:pos:R:3
C 0.442 1.169 -0.282
C 0.771 0.003 -0.671
O -2.028 -1.676 1.245
O -0.557 -1.245 -0.165
O -1.127 -1.047 0.947
H 1.210 1.828 -0.478
H -0.348 1.457 0.470
H 1.638 -0.488 -1.066
```

As for the HOMO energy (spin up / spin down): -17.478 / -17.478 eV. As for the frontier orbital gap (spin up / spin down): 9.2478 / 9.2492 eV. As for the total charge: +1.

=====

Version x
Computed, not measured: a gas-phase ion, C2H3O3 (charge +1), with ωB97M-V/def2-TZVPD.

Structure (XYZ):
```
8
Properties=species:S:1:pos:R:3
C 0.916 -0.227 -1.292
C 0.471 -0.462 -0.113
O -2.202 1.033 1.943
O -0.512 0.773 0.652
O -1.292 0.381 1.659
H 1.499 -1.006 -1.747
H 0.618 0.781 -1.591
H 0.502 -1.272 0.489
```

As for the HOMO energy (spin up / spin down): -16.926 / -16.922 eV. As for the frontier orbital gap (spin up / spin down): 7.8161 / 7.7856 eV. As for the total charge: +1.

=====

Q: Which of them is the least stable? A: version w.

=====

Version w
Computed, not measured: a single C4H4N2OS molecule, with ωB97M-V/def2-TZVPD.

Structure (XYZ):
```
12
Properties=species:S:1:pos:R:3
N -0.427 -0.103 -2.727
C -0.613 -0.127 -1.498
C -0.581 0.380 -0.123
C -0.523 1.669 0.054
N -0.009 2.617 -0.870
O -1.095 -0.565 0.817
C -0.246 -1.416 1.357
S 1.497 -1.361 1.209
H -0.574 2.210 0.983
H 0.172 2.214 -1.810
H 0.722 3.327 -0.626
H -0.687 -2.095 2.006
```

Its SMILES is N#C/C(=C\N)OC=S. As for the HOMO energy: -8.969 eV. As for the frontier orbital gap: 8.7866 eV.

=====

Version x
Computed, not measured: a single C4H4N2OS molecule, with ωB97M-V/def2-TZVPD.

Structure (XYZ):
```
12
Properties=species:S:1:pos:R:3
H -3.047 -0.580 -0.187
N -2.256 -1.155 -0.264
C -1.175 -0.442 0.004
C 0.146 -0.987 0.085
C 1.102 0.031 0.016
S 2.884 -0.222 -0.174
O 0.964 1.351 -0.109
C -0.419 1.750 -0.050
N -1.336 0.958 -0.071
H 0.476 -1.934 0.276
H 2.993 -1.566 0.341
H -0.332 2.795 0.132
```

Its SMILES is [H]/N=c1/cc(S)ocn1. As for the HOMO energy: -8.712 eV. As for the frontier orbital gap: 9.1821 eV.

=====

Version y
Computed, not measured: a single C4H4N2OS molecule, with ωB97M-V/def2-TZVPD.

Structure (XYZ):
```
12
Properties=species:S:1:pos:R:3
H 0.889 -1.447 2.047
N 0.719 -1.794 1.131
C 0.434 -0.796 0.407
C -0.314 -1.104 -0.868
C -0.762 -1.512 -1.913
N 0.546 0.701 0.392
S 0.475 1.230 2.108
C 0.343 1.574 -0.772
O -0.006 1.149 -1.940
H -1.782 -1.957 -2.378
H -0.872 1.260 2.456
H 0.330 2.694 -0.668
```

Its SMILES is [H]/N=C(/C#C)N(S)C=O. As for the HOMO energy: -9.481 eV. As for the frontier orbital gap: 9.4644 eV.

=====

Q: Which of them is the least stable? A: version y.

=====

Version w
Computed, not measured: 3 unconnected molecules or ions with the total composition C2H2F3NO2, with ωB97M-V/def2-TZVPD.

Structure (XYZ):
```
10
Properties=species:S:1:pos:R:3
C -0.420 1.429 0.850
C -2.972 -0.100 -0.222
N -0.233 0.657 -0.107
O -0.301 1.860 1.943
____________
Essentially the argument goes like this: Say you work hard get a big bonus and buy a really big and awesome flat screen tv. You take it home set it all up and get ready to watch your favorite movie in ways you never imagined... But then you see an advertisement for a brand new 3D TV! Now your brand new TV seems outdated and not that great and you just got it! So you work hard (again) and get another bonus, buy a new TV and presto the cycle repeats... over and over again. Essentially its the carrot on a stick problem. Just so you know there will always be a bigger, better TV around the corner.
So what if you stopped the cycle? Well for one that bonus could be used for something that won't degrade with time. Say that cooking class you have always been wanting to take. Or you could do the really radical thing and simply take some extra time off work and forgo the bonus!
The idea here is not to never buy anything but to break the never ending consumer cycle of buying the newest greatest product over and over and over... and over again.
This cycle of never ending consumerism is part of what has lead us to our consumer debt crisis and I feel has lead us to feeling disconnected with the rest of the world. Not to count all the environmental impacts it has also created and will create in the future (See BP Oil Spill).
For myself I am doing this to save money, to lower my carbon/ecological footprint and to make moving easier! I really hate having to pack and move a lot of stuff so that is a big motivator for me.
Another reason is that just like being a vegetarian breaking the consumerism cycle is a way for me to reduce my carbon/ecological footprint no mater if I am living in a house or an apartment. Renting an apartment really limits what options you can take to reduce your footprint. Its hard to live off the grid when your renting.
Take a look at the websites linked up top and make sure to follow Michaela and I as we go through this transition. I will be posting pictures of the room over time as I get rid of all my stuff to track the changes. Lets see how it goes!
I'm impressed, Daron. I'm going to look into getting rid of some of my "stuff" and living a more simplistic lifestyle. I've been feeling guilty since the oil spill. See, I bought a Jeep a few months back and it gets the most terrible gas mileage EVER! I feel like I made a slight contribution to the disaster. Boo. Anyway, I guess what I'm saying is, since I can't/won't get rid of my Jeep soon, I see a need to be more socially and environmentally responsible in other ways and this seems smart. Thanks for sharing :)
ReplyDeleteThanks for the comment :) It will be interesting to see how it goes.